What to do >
It remains to retype the block below without additions.

Excerpt >
- - -
For MnCo2RhO6, a structure optimized by DFT (GGA+U) gives the computed X-ray powder pattern in this record (copper Kα).

Principal peaks in the range 2θ from 15° to 90°, by intensity:
2θ (°), intensity
35.4, 1000
33.3, 969
54.2, 728
24.1, 576
49.4, 379
63.6, 371

Structure:
```
MnCo2RhO6
1.0
2.5347 1.4634 4.5433
-2.5347 1.4634 4.5433
0.0000 -2.9268 4.5433
Mn Co Rh O
1 2 1 6
Direct
0.0000 0.0000 0.0000 Mn
0.2876 0.2876 0.2876 Co
0.8026 0.8026 0.8026 Co
0.4895 0.4895 0.4895 Rh
0.0743 0.7060 0.4113 O
0.1885 0.6006 0.8878 O
0.4113 0.0743 0.7060 O
0.6006 0.8878 0.1885 O
- - -

Written answer >
For MnCo2RhO6, a structure optimized by DFT (GGA+U) gives the computed X-ray powder pattern in this record (copper Kα).

Principal peaks in the range 2θ from 15° to 90°, by intensity:
2θ (°), intensity
35.4, 1000
33.3, 969
54.2, 728
24.1, 576
49.4, 379
63.6, 371

Structure:
```
MnCo2RhO6
1.0
2.5347 1.4634 4.5433
-2.5347 1.4634 4.5433
0.0000 -2.9268 4.5433
Mn Co Rh O
1 2 1 6
Direct
0.0000 0.0000 0.0000 Mn
0.2876 0.2876 0.2876 Co
0.8026 0.8026 0.8026 Co
0.4895 0.4895 0.4895 Rh
0.0743 0.7060 0.4113 O
0.1885 0.6006 0.8878 O
0.4113 0.0743 0.7060 O
0.6006 0.8878 0.1885 O